How issue framing shapes trade attitudes

• Misplaced crystal structures:
********
1.
First-principles (PBE-GGA) data for an optimized crystal structure of KHfAgTe2Se, as listed in OQMD via LeMat-Bulk.

Cell lengths 8.7479, 4.1621, 10.5705 Å; angles 90.00, 110.40, 90.00 degrees
Space group P2_1/m (No. 11)
Asymmetric unit:
K (0.2380, 0.2500, 0.1900) [2 per cell]
Hf (0.1978, 0.7500, 0.6762) [2 per cell]
Ag (0.4236, 0.2500, 0.8989) [2 per cell]
Te (0.0533, 0.7500, 0.3694) [2 per cell]
Te (0.4092, 0.2500, 0.6336) [2 per cell]
Se (0.2405, 0.7500, 0.9339) [2 per cell]

## Properties
- energy above the lowest structure with this stoichiometry (eV/f.u.) = 0.30

---

2.
First-principles (PBE-GGA) data for an optimized crystal structure of KHfAgTeSe2, as listed in OQMD via LeMat-Bulk.

Cell lengths 8.5161, 4.0119, 10.4224 Å; angles 90.00, 110.39, 90.00 degrees
Space group P2_1/m (No. 11)
Asymmetric unit:
K (0.2353, 0.2500, 0.2610) [2 per cell]
Hf (0.3172, 0.7500, 0.8442) [2 per cell]
Ag (0.0730, 0.2500, 0.6041) [2 per cell]
Te (0.2855, 0.7500, 0.5613) [2 per cell]
Se (0.1126, 0.2500, 0.8660) [2 per cell]
Se (0.4513, 0.7500, 0.1239) [2 per cell]

## Properties
- energy above the lowest structure with this stoichiometry (eV/f.u.) = 0.00

---

3.
First-principles (PBE-GGA) data for an optimized crystal structure of KHfAgTe2Se, as listed in OQMD via LeMat-Bulk.

Cell lengths 8.7127, 4.1201, 10.5413 Å; angles 90.00, 110.87, 90.00 degrees
Space group P2_1/m (No. 11)
Asymmetric unit:
K (0.2372, 0.2500, 0.2217) [2 per cell]
Hf (0.1786, 0.7500, 0.6540) [2 per cell]
Ag (0.4264, 0.2500, 0.8948) [2 per cell]
Te (0.2225, 0.7500, 0.9359) [2 per cell]
Te (0.4049, 0.2500, 0.6266) [2 per cell]
Se (0.0380, 0.7500, 0.3753) [2 per cell]

## Properties
- energy above the lowest structure with this stoichiometry (eV/f.u.) = 0.00

---

4.
First-principles (PBE-GGA) data for an optimized crystal structure of KHfAgTe2Se, as listed in OQMD via LeMat-Bulk.

Cell lengths 8.6186, 4.1137, 10.9925 Å; angles 90.00, 111.02, 90.00 degrees
Space group P2_1/m (No. 11)
Asymmetric unit:
K (0.2359, 0.2500, 0.2833) [2 per cell]
Hf (0.3028, 0.7500, 0.8298) [2 per cell]
Ag (0.0742, 0.2500, 0.5991) [2 per cell]
Te (0.2828, 0.7500, 0.5648) [2 per cell]
Te (0.4326, 0.7500, 0.1200) [2 per cell]
Se (0.1083, 0.2500, 0.8479) [2 per cell]

## Properties
- energy above the lowest structure with this stoichiometry (eV/f.u.) = 0.17

* * * * *

Entry 1:
## Ag2OsPt (PBE)

Data for an optimized crystal structure of Ag2OsPt.

Its total DFT energy (no corrections) is -21.9 eV for the cell shown. As for the crystal system: tetragonal. The value obtained for the total magnetic moment is 0.00 μB/atom. For the energy relative to the lowest polymorph listed for this composition, the calculation gives 0.38 kcal/mol of atoms. The density of states at the Fermi level comes out at 2.65 states/eV per cell.
********
• Here the entry continues:

In recent years, trade policies have received renewed public attention. While trade should have positive aggregate welfare effects, the distribution of benefits within the labor market varies. Some political campaigns in developed countries have used these inherent distributive tensions to demand swift changes to national trade policies. Political attention notwithstanding, the role of citizens’ preferences on trade has remained largely unexplored. Notably, there is little knowledge of how beliefs shape policy preferences on trade and how issue framing around trade determines those preferences. A better understanding of the interplay between framing, preferences, and beliefs could advance our understanding of the trade policy outcomes we currently observe.
The Project
IDB researchers implemented an experiment as part of the Latinobarómetro 2018 that explored trade preferences and beliefs in Latin America. The behaviorally-informed component tested how framing questions on trade in different ways might impact an individual’s trade preferences. The study further explored how beliefs help to explain preferences and heterogeneous effects of trade preferences in regard to country or level of education. To the best of the authors' knowledge, this is the first survey experiment on trade with a representative sample for a large number of countries.
Behavioral Analysis
Behavioral Barriers
Lack of information: People may lack relevant information, for instance, because information is difficult to obtain, scarce, or hard to understand. This problem informs policy preferences on trade.
Loss aversion: Refers to the idea that a loss causes distress that is greater than the happiness caused by a gain of the same size. Citizens might form anti-trade preferences when information emphasizes potential losses that weigh stronger than information underscoring potential benefits.
Limited attention: Even when the relevant information is in principle available, people’s ability to process information is limited. As a result, they may ignore relevant pieces of information unless that information is communicated clearly and simply. In this context, citizens might not be able to dedicate significant attention to processing information about trade and its potential impact on their everyday lives.
Inertia and status quo bias: People may be attached to the status quo of affairs and dread or overestimate the costs of taking action, despite actual or perceived benefits. The current trade policy might be preferred because it has been the status quo for a certain period of time.
Behavioral Tools
Framing effect: The tendency to draw different conclusions depending on how information is presented. For example, options can be presented in a way that highlights the positive or negative aspects of a decision, leading an option to be perceived as more or less attractive. In this context, information on trade was presented in different frames with positive, negative, or mixed aspects highlighted.
Salience: Applies both to things that stand out and things that cease to stand out. Individuals tend to focus on points and information that stand out and ignore those that do not; this is also called shiny object bias. In this study, the treatment conditions made different aspects of trade more salient.
Intervention Design
This study was included as one module into the Latinobarómetro survey, which obtained data between June and August 2018. The Latinobarómetro is a representative survey of adult citizens from 18 Latin American countries. The overall sample size was 20,204. Nearly all participants were interviewed at their homes, and data were recorded either on paper or on electronic devices. Other modules of the survey elicit preference on a diverse range of topics and on participants’ socio-economic data.
In the first part, the experiment made use of different framing prompts to test how different informational frames might impact citizens’ trade preferences. The underlying theory of change assumed that different framings might lead to stronger or weaker preferences for trade. All participants were randomly assigned to one of four conditions. Besides one control group, the three treatments presented a positive framing (T1), a negative framing (T2), and a mixed framing (T3) (see Table 1). Answers within each condition were binary (“In favor of”; “Against”).
Table 1. Experimental Conditions.

After the treatment exposure, participants were asked to select, from among eight overall beliefs describing possible consequences of increased trade, those with which they agreed. They included “Higher employment,” “Higher wages,” “Product variety,” “Lower prices,” “Access to technology,” “Better personal economic situation,” “Lower wages,” and “Lower employment.”
The main form of data analysis took the form of an OLS regression with the control group as excluded category and coefficients for each treatment indicating the average treatment effect.
- The question eliciting trade preference was intentionally formulated broadly, informed by previous research on framing. However, it might be possible that the specific wording is seldom used in political contexts and might trigger different answers than more frequent formulations involving “import,” “export,” etc.
- Results indicated potential issues in implementing the experiment in the Dominican Republic, as no or only very small effects of framing were discernible at all.
- Framing effects strongly affect trade preferences. The share of participants with preferences for trade was 73.11 percent in T1 (Positive frame), 72.64 percent in the control group, 46.33 in T2 (Negative frame), and 55.10 percent in T3 (Mixed frame).
- For the model specification with fixed effects on the city level, the treatment effect for the positive frame is small and statistically insignificant. The treatment effect for T2 is large, negative, and highly significant. It decreased trade preferences by about 26 percentage points (pp). For T3, results are equally negative and highly significant, indicating an approximately 17 pp reduction of trade support. The latter results indicate potential interactions between positive and negative framing, with negative information having a greater impact. Information. This finding is in line with research in loss aversion (Figure 1).
- Framing effects also seemed to have impacted beliefs. For T1, beliefs on product variety and low prices were strengthened, which is in line with the information presented in this condition. In contrast, the six other beliefs were negatively impacted across all three frames. For instance, the negative frame reduced beliefs that trade increases employment by over 8 pp and the belief that it might increase wages by 4.5 pp (Figure 2).
- Regression analysis of trade preferences on trade beliefs indicates that negative beliefs (low wages, low employment) are always associated with lower trade support, while the same holds true for positive beliefs (high wages, high employment, product variety, low prices).
- The study also elicits heterogenous effects across various variables. Countries range from about 60 (Argentina, Peru) to over 85 percent approval for trade (Venezuela, Honduras, Uruguay, Nicaragua); finally, individuals who are more educated are more supportive of trade but also more sensitive to framing effects.
Figure 1. Effect of Framing on Trade Preferences.

Figure 2. Effect of Framing on Trade Preferences.

### Data records from another source follow
~~~
# 1
Entry from Alexandria: an optimized crystal structure of Cu2HgBr2 (GGA-PBE).

Magnetization ... 0.00 μB per atom
Symmetry ... I4/mmm, No. 139
Distance to the lowest polymorph of the same formula ... 0.0286 eV/atom
DOS at the Fermi energy ... 0.00 states/eV/cell

Cell and atoms, written as POSCAR:
```
Cu2HgBr2
1.0
3.8576 0.0000 0.0000
0.0000 3.8576 0.0000
1.9288 1.9288 9.7129
Cu Hg Br
2 1 2
Cartesian
3.8576 1.9288 4.8565 Cu
1.9288 3.8576 4.8565 Cu
0.0000 0.0000 0.0000 Hg
1.9288 1.9288 3.2252 Br
3.8576 3.8576 6.4877 Br
```

# 2
Entry from Alexandria: an optimized crystal structure of Cu2Hg2Br7 (GGA-PBE).

Magnetization ... 0.10 μB per atom
Symmetry ... C2/m, No. 12
Distance to the lowest polymorph of the same formula ... 0.0393 eV/atom
DOS at the Fermi energy ... 8.70 states/eV/cell

Cell and atoms, written as POSCAR:
```
Cu2Hg2Br7
1.0
-5.6117 0.7903 4.4512
-1.0705 -6.3556 -4.0228
5.7068 -3.0994 3.9433
Cu Hg Br
2 2 7
Cartesian
-1.3758 -1.4378 1.7582 Cu
0.4005 -7.2269 2.6134 Cu
3.6205 -4.1018 1.4910 Hg
1.0159 -5.3532 -1.5705 Hg
-1.9657 -7.2598 2.0420 Br
-1.3474 -2.5282 -0.4182 Br
0.9904 -1.4049 2.3297 Br
0.3721 -6.1366 4.7898 Br
-2.8058 0.3951 2.2256 Br
1.0315 -5.1751 1.2379 Br
-2.0068 -3.4896 3.1338 Br
```

# 3
Entry from Alexandria: an optimized crystal structure of CuHgBr2 (GGA-PBE).

Magnetization ... 0.00 μB per atom
Symmetry ... C2/m, No. 12
Distance to the lowest polymorph of the same formula ... 0.2574 eV/atom
DOS at the Fermi energy ... 0.74 states/eV/cell

Cell and atoms, written as POSCAR:
```
CuHgBr2
1.0
7.1751 -0.1339 -0.2478
-3.7391 4.5378 0.1248
-0.3031 2.0222 3.7415
Br Cu Hg
2 1 1
Cartesian
0.0000 0.0000 0.0000 Br
3.4360 0.9441 1.7468 Br
-2.0211 3.2800 1.9331 Cu
1.7180 2.2020 -0.0615 Hg
```

# 4
Entry from Alexandria: an optimized crystal structure of CuHgBr2 (GGA-PBE).

Magnetization ... 0.17 μB per atom
Symmetry ... Cmmm, No. 65
Distance to the lowest polymorph of the same formula ... 0.0247 eV/atom
DOS at the Fermi energy ... 2.43 states/eV/cell

Cell and atoms, written as POSCAR:
```
CuHgBr2
1.0
-1.8653 3.1628 -2.4769
-1.1293 -4.1652 0.9969
-5.0683 3.2946 8.0238
Br Cu Hg
2 1 1
Cartesian
-0.4215 0.2740 0.6674 Br
-2.1126 1.3733 3.3445 Br
-2.7644 0.3225 1.2659 Cu
-5.2985 1.9697 5.2778 Hg
```

# 5
Entry from Alexandria: an optimized crystal structure of CuHgBr4 (GGA-PBE).

Magnetization ... 0.06 μB per atom
Symmetry ... F-43m, No. 216
Distance to the lowest polymorph of the same formula ... 1.0222 eV/atom
DOS at the Fermi energy ... 7.91 states/eV/cell

Cell and atoms, written as POSCAR:
```
CuHgBr4
1.0
-1.0381 -5.9566 1.8415
1.5925 -1.8262 5.8377
-4.5005 -1.2529 4.2574
Cu Hg Br
1 1 4
Cartesian
-2.9596 -6.7768 8.9525 Cu
0.0000 0.0000 0.0000 Hg
-1.9988 -6.3660 5.3972 Br
-3.7294 -4.0150 6.6047 Br
-0.6840 -4.3016 7.3946 Br
-1.4800 -3.3888 4.4768 Br
```

# 6
Entry from Alexandria: an optimized crystal structure of CuHgBr2 (GGA-PBE).

Magnetization ... 0.00 μB per atom
Symmetry ... P4mm, No. 99
~~~
### The data records stop here

Policy Implications
- The study replicated previous results that emphasize the importance of informational frames in determining citizens’ policy preferences. For policymakers, this implies a) the importance of validating policy messages across different wordings and b) the need to be diligent and careful in wording messages about policy in general.
- Heterogenous effects of education might help to better understand trade policy outcomes. Since highly educated people are more likely to influence and determine policy outcomes on trade, their sensitivity to negative frames is likely to play a more prominent role when countries navigate a course that is rather antagonistic to increased trade.